_Listing_
[1]
The following is a quantum chemistry calculation of 2 unconnected molecules or ions with the total composition C26H44BClFNO9PS at a distorted geometry, from the Open Molecules 2025 dataset.

Structure (ORCA input):
```
! RIJCOSX wB97M-V def2-TZVPD def2/J DEFGRID3
* xyz -1 1
C 4.2014 1.6459 3.0706
B 4.0696 1.9176 1.4825
O 4.5151 3.1853 1.0408
C 3.4340 0.8056 0.4428
S 1.9836 1.7207 -0.2148
O 2.3715 2.9060 -0.9639
O 1.0875 2.1120 0.8581
F 1.1034 0.8106 -1.2773
C 2.9113 -0.5611 1.0574
Cl 1.7714 -0.5438 2.4488
C 4.1457 -1.5189 1.0832
O 4.4412 -2.4061 1.7928
O 4.8768 -1.1103 -0.0355
C 4.4706 0.1845 -0.5620
C 4.0725 -0.0054 -2.0971
C 3.8358 -1.5009 -2.5258
O 2.6040 -2.0636 -2.0380
C 2.6757 -3.4980 -2.1076
C 1.3882 -4.2074 -2.6907
O 0.4764 -4.7399 -1.6838
C -0.4852 -3.7172 -1.4345
C -0.2720 -2.8677 -0.2781
C -1.2266 -1.7757 -0.0065
C -2.3972 -1.5007 -0.8510
C -3.3950 -0.2972 -0.5810
C -3.0926 0.4191 0.7946
C -3.1399 0.7415 -1.7468
C -4.8497 -0.9183 -0.5119
C -6.0514 0.0085 -0.9521
C -7.3669 -0.6908 -0.3521
C -6.3066 0.0207 -2.5305
C -6.0378 1.4601 -0.3289
C -2.5740 -2.4255 -1.9884
C -1.6542 -3.5158 -2.2888
P 6.1762 1.0529 -0.6160
N 7.3051 0.0750 -1.5021
O 5.9458 2.4908 -1.4679
H 3.1386 1.6759 3.4607
H 4.7134 2.5231 3.5486
H 4.6820 0.6664 3.3104
H 4.1864 3.8019 1.7186
H 2.2654 -0.9845 0.2268
H 4.9643 0.3371 -2.6998
H 3.2158 0.6229 -2.4393
H 3.7358 -1.4774 -3.6558
H 4.7259 -2.1576 -2.3220
H 2.8781 -3.9558 -1.0940
H 3.5403 -3.8208 -2.7594
H 0.8669 -3.4476 -3.3404
H 1.7495 -5.0572 -3.3358
H 0.6234 -3.0452 0.3693
H -1.0029 -1.1609 0.8921
H -3.4911 -0.1722 1.6580
H -3.5658 1.4356 0.8553
H -2.0028 0.5766 0.9518
H -2.0317 0.7161 -1.9604
H -3.3436 1.7659 -1.3528
H -3.6418 0.5053 -2.7140
H -4.9649 -1.8960 -1.0588
H -5.0352 -1.1712 0.5726
H -7.1923 -0.8745 0.7439
H -8.2289 0.0257 -0.4649
H -7.5636 -1.6344 -0.9224
H -6.0300 -1.0101 -2.8945
H -5.7370 0.8218 -3.0570
H -7.4043 0.1803 -2.6833
H -7.1004 1.8398 -0.4161
H -5.7876 1.4893 0.7573
H -5.4322 2.1853 -0.9412
H -3.4550 -2.2856 -2.6511
H -1.8195 -4.2031 -3.1552
H 6.8619 -0.6151 -2.1129
H 7.8741 -0.3790 -0.7864
H 6.2113 3.1829 -0.8388
C -0.4616 3.7322 5.5948
C -0.4783 2.4413 4.7473
C 0.2183 2.7229 3.4008
O -1.7606 2.1112 4.4986
H -0.9842 4.5558 5.0981
H -0.9312 3.5714 6.5697
H 0.5736 4.0638 5.7801
H 0.1784 1.7147 5.2851
H -0.2802 3.5150 2.8327
H 0.2460 1.8317 2.7817
H 1.2634 3.0436 3.5637
*
```

Computed properties:
- LUMO: 1.79 eV
- Largest force on an atom: 5.00 eV/Å
- Relative energy (zero: lowest compared OMol25 entry of this formula, charge and spin): 393.1 kJ/mol
- Kohn-Sham gap: 0.1526 Eh

Mulliken atomic charge list, values in e, 2 entries: -0.882 1.060

---

[2]
The following is a quantum chemistry calculation of a molecular structure, C26H44BrCoN3OP2 at a distorted geometry, from the Open Molecules 2025 dataset.

Structure (ORCA input):
```
! RIJCOSX wB97M-V def2-TZVPD def2/J DEFGRID3
* xyz 2 4
N 1.0456 0.3491 -6.0450
C 0.5502 -0.8301 -5.6413
C 0.1978 -1.0783 -4.2958
C 0.2943 -0.0245 -3.3493
C 0.8613 1.1900 -3.7898
C 1.2127 1.3271 -5.1548
C -0.2604 -0.2195 -2.0008
Co 0.2455 -0.1229 -0.2220
P -0.8909 0.5337 2.8333
C -0.8894 0.8830 -1.2384
C -2.3298 0.8223 -0.9130
C -3.0027 2.0005 -0.4998
C -4.3475 1.9592 -0.1412
C -5.0457 0.7337 -0.2289
C -4.4231 -0.4166 -0.7416
C -3.0733 -0.3503 -1.1178
Br -6.7517 0.5985 0.4477
H -0.6517 -1.2488 -1.8909
H -0.4990 1.9043 -1.3469
H -0.2144 -2.0532 -4.0284
H 1.0168 2.0348 -3.1264
H 0.4272 -1.6075 -6.4149
H 1.6383 2.2662 -5.5257
H -2.4818 2.9614 -0.4651
H -2.6177 -1.2141 -1.6161
H -4.8550 2.8481 0.2296
H -4.9735 -1.3531 -0.8401
P 2.3320 0.2526 -0.0823
C -2.6254 0.0153 2.5543
C -3.6416 0.8386 3.3658
H -2.6969 -1.0473 2.8564
H -2.8070 0.1023 1.4646
H -4.6582 0.5091 3.1005
H -3.5047 0.6806 4.4500
H -3.5670 1.9172 3.1486
C -0.6626 2.0520 1.8702
C -0.8266 3.3011 2.7640
H -1.4333 2.0445 1.0851
H 0.3416 2.0287 1.4028
H -0.5421 4.1992 2.1982
H -1.8697 3.4293 3.0962
H -0.1863 3.2364 3.6578
C -0.0175 -1.0338 2.6929
C 0.0030 -1.8282 4.0000
H 1.0109 -0.7298 2.4264

_Assignment_
Filter the lines further above: keep the lines with the word "calculation".

_Completed_
The following is a quantum chemistry calculation of 2 unconnected molecules or ions with the total composition C26H44BClFNO9PS at a distorted geometry, from the Open Molecules 2025 dataset.
The following is a quantum chemistry calculation of a molecular structure, C26H44BrCoN3OP2 at a distorted geometry, from the Open Molecules 2025 dataset.